**Job**
It remains to duplicate the whole of the material below exactly.

**Source**
/*
Density functional theory data (PBEsol) for AlRuW after structural relaxation.

POSCAR file:
```
AlRuW
1.0
-1.584 1.618 1.520
-0.258 -2.646 0.607
5.606 1.047 3.251
Ru Al W
1 1 1
Cartesian
3.149 0.358 2.900
3.713 0.013 5.332
0.666 -0.334 2.525
```

Symmetry: Fmm2 (42)
Excess energy over the best structure of this formula in the dataset, meV/atom: 73.5
DOS(E_F), states/eV per cell: 2.1
E_form, eV/f.u.: 0.022

Density functional theory data (PBEsol) for Al2RuW after structural relaxation.

POSCAR file:
```
Al2RuW
1.0
3.823 0.000 0.000
0.000 3.823 0.000
-1.912 -1.912 3.933
W Al Ru
1 2 1
Cartesian
0.000 1.912 1.966
1.912 0.000 1.966
0.000 0.000 0.000
1.912 1.912 0.000
```

Symmetry: I-4m2 (119)
Excess energy over the best structure of this formula in the dataset, meV/atom: 0.0
DOS(E_F), states/eV per cell: 3.2
E_form, eV/f.u.: -0.382

Density functional theory data (PBEsol) for Y2AlRu2 after structural relaxation.

POSCAR file:
```
Y2AlRu2
1.0
4.273 0.000 0.000
0.000 6.722 0.000
0.000 0.000 6.722
Y Ru Al
4 4 2
Cartesian
2.136 5.537 2.177
2.136 2.177 1.184
2.136 4.545 5.537
2.136 1.184 4.545
0.000 0.905 2.456
0.000 2.456 5.817
0.000 4.266 0.905
0.000 5.817 4.266
0.000 0.000 0.000
0.000 3.361 3.361
```

Symmetry: P4/mbm (127)
DOS(E_F), states/eV per cell: 5.0
E_form, eV/f.u.: -1.998

Density functional theory data (PBEsol) for Y2AlRu after structural relaxation.

POSCAR file:
```
Y2AlRu
1.0
3.456 0.000 0.000
0.000 3.456 0.000
0.000 0.000 6.997
Y Al Ru
2 1 1
Cartesian
0.000 0.000 1.896
0.000 0.000 5.101
1.728 1.728 0.000
1.728 1.728 3.498
```

Symmetry: P4/mmm (123)
DOS(E_F), states/eV per cell: 2.2
E_form, eV/f.u.: -1.524

Density functional theory data (PBEsol) for YAlRu3 after structural relaxation.

POSCAR file:
```
YAlRu3
1.0
-0.042 4.234 1.377
-3.851 -0.726 2.114
2.235 -1.171 3.669
Y Al Ru
1 1 3
Cartesian
-0.829 1.168 3.580
0.000 0.000 0.000
1.117 -0.586 1.834
-0.021 2.117 0.689
-1.925 -0.363 1.057
```

Symmetry: Pm-3m (221)
DOS(E_F), states/eV per cell: 9.5
E_form, eV/f.u.: 2.502

Density functional theory data (PBEsol) for AlZn2Ru after structural relaxation.

POSCAR file:
```
AlZn2Ru
1.0
3.675 0.000 0.000
0.000 3.675 0.000
-1.837 -1.837 3.983
Al Ru Zn
1 1 2
Cartesian
1.837 1.837 0.000
0.000 1.837 1.991
1.837 0.000 1.991
0.000 0.000 0.000
```

Symmetry: I-4m2 (119)
DOS(E_F), states/eV per cell: 2.3
E_form, eV/f.u.: -1.069

Density functional theory data (PBEsol) for AlZn3Ru after structural relaxation.

POSCAR file:
```
AlZn3Ru
1.0
-4.383 -1.039 -0.064
1.039 -4.383 -0.042
-0.053 -0.056 4.504
Zn Al Ru
3 1 1
Cartesian
-2.191 -0.519 -0.032
-0.026 -0.028 2.252
0.520 -2.192 -0.021
0.000 0.000 0.000
-1.698 -2.739 2.199
```

Symmetry: Pm-3m (221)
DOS(E_F), states/eV per cell: 4.0
E_form, eV/f.u.: 6.240

Density functional theory data (PBEsol) for AlZnRu after structural relaxation.

POSCAR file:
```
AlZnRu
1.0
-2.048 0.911 1.621
-1.137 -3.878 0.743
2.749 1.838 2.439
Al Ru Zn
1 1 1
Cartesian
-0.133 0.059 0.106
0.057 0.554 2.979
-0.360 -1.742 1.719
```

Symmetry: P3m1 (156)
DOS(E_F), states/eV per cell: 1.9
E_form, eV/f.u.: -0.637

----------

Record 1
DFT (GGA-PBE) results for a geometry-optimized YSnSb2O structure.

Symmetry = No. 123
Mass density = 5.8 g/cm³
V = 133.65 Å³/f.u.
Formation energy without anion corrections = -323.8 meV per atom

Lattice parameters (Å, degrees): 5.8214 5.8214 3.9439 90.00 90.00 90.00
Fractional positions:
Sb  0.0000  0.5000  0.0000
Sb  0.5000  0.0000  0.0000
O  0.0000  0.0000  0.5000
Sn  0.0000  0.0000  0.0000
Y  0.5000  0.5000  0.5000



Record 2
DFT (GGA-PBE) results for a geometry-optimized Zn2SnSbO6 structure.

Symmetry = No. 11
Mass density = 6.5 g/cm³
V = 118.80 Å³/f.u.
Formation energy without anion corrections = -1346.4 meV per atom

Lattice parameters (Å, degrees): 8.0550 5.4303 5.4321 90.00 90.00 90.00
Fractional positions:
O  0.5714  0.8306  0.8318
O  0.2500  0.5931  0.8802
O  0.2500  0.0981  0.6272
O  0.9286  0.8306  0.8318
O  0.0714  0.1694  0.1682
O  0.0719  0.6713  0.3358
*/

**Worked solution**
Density functional theory data (PBEsol) for AlRuW after structural relaxation.

POSCAR file:
```
AlRuW
1.0
-1.584 1.618 1.520
-0.258 -2.646 0.607
5.606 1.047 3.251
Ru Al W
1 1 1
Cartesian
3.149 0.358 2.900
3.713 0.013 5.332
0.666 -0.334 2.525
```

Symmetry: Fmm2 (42)
Excess energy over the best structure of this formula in the dataset, meV/atom: 73.5
DOS(E_F), states/eV per cell: 2.1
E_form, eV/f.u.: 0.022

Density functional theory data (PBEsol) for Al2RuW after structural relaxation.

POSCAR file:
```
Al2RuW
1.0
3.823 0.000 0.000
0.000 3.823 0.000
-1.912 -1.912 3.933
W Al Ru
1 2 1
Cartesian
0.000 1.912 1.966
1.912 0.000 1.966
0.000 0.000 0.000
1.912 1.912 0.000
```

Symmetry: I-4m2 (119)
Excess energy over the best structure of this formula in the dataset, meV/atom: 0.0
DOS(E_F), states/eV per cell: 3.2
E_form, eV/f.u.: -0.382

Density functional theory data (PBEsol) for Y2AlRu2 after structural relaxation.

POSCAR file:
```
Y2AlRu2
1.0
4.273 0.000 0.000
0.000 6.722 0.000
0.000 0.000 6.722
Y Ru Al
4 4 2
Cartesian
2.136 5.537 2.177
2.136 2.177 1.184
2.136 4.545 5.537
2.136 1.184 4.545
0.000 0.905 2.456
0.000 2.456 5.817
0.000 4.266 0.905
0.000 5.817 4.266
0.000 0.000 0.000
0.000 3.361 3.361
```

Symmetry: P4/mbm (127)
DOS(E_F), states/eV per cell: 5.0
E_form, eV/f.u.: -1.998

Density functional theory data (PBEsol) for Y2AlRu after structural relaxation.

POSCAR file:
```
Y2AlRu
1.0
3.456 0.000 0.000
0.000 3.456 0.000
0.000 0.000 6.997
Y Al Ru
2 1 1
Cartesian
0.000 0.000 1.896
0.000 0.000 5.101
1.728 1.728 0.000
1.728 1.728 3.498
```

Symmetry: P4/mmm (123)
DOS(E_F), states/eV per cell: 2.2
E_form, eV/f.u.: -1.524

Density functional theory data (PBEsol) for YAlRu3 after structural relaxation.

POSCAR file:
```
YAlRu3
1.0
-0.042 4.234 1.377
-3.851 -0.726 2.114
2.235 -1.171 3.669
Y Al Ru
1 1 3
Cartesian
-0.829 1.168 3.580
0.000 0.000 0.000
1.117 -0.586 1.834
-0.021 2.117 0.689
-1.925 -0.363 1.057
```

Symmetry: Pm-3m (221)
DOS(E_F), states/eV per cell: 9.5
E_form, eV/f.u.: 2.502

Density functional theory data (PBEsol) for AlZn2Ru after structural relaxation.

POSCAR file:
```
AlZn2Ru
1.0
3.675 0.000 0.000
0.000 3.675 0.000
-1.837 -1.837 3.983
Al Ru Zn
1 1 2
Cartesian
1.837 1.837 0.000
0.000 1.837 1.991
1.837 0.000 1.991
0.000 0.000 0.000
```

Symmetry: I-4m2 (119)
DOS(E_F), states/eV per cell: 2.3
E_form, eV/f.u.: -1.069

Density functional theory data (PBEsol) for AlZn3Ru after structural relaxation.

POSCAR file:
```
AlZn3Ru
1.0
-4.383 -1.039 -0.064
1.039 -4.383 -0.042
-0.053 -0.056 4.504
Zn Al Ru
3 1 1
Cartesian
-2.191 -0.519 -0.032
-0.026 -0.028 2.252
0.520 -2.192 -0.021
0.000 0.000 0.000
-1.698 -2.739 2.199
```

Symmetry: Pm-3m (221)
DOS(E_F), states/eV per cell: 4.0
E_form, eV/f.u.: 6.240

Density functional theory data (PBEsol) for AlZnRu after structural relaxation.

POSCAR file:
```
AlZnRu
1.0
-2.048 0.911 1.621
-1.137 -3.878 0.743
2.749 1.838 2.439
Al Ru Zn
1 1 1
Cartesian
-0.133 0.059 0.106
0.057 0.554 2.979
-0.360 -1.742 1.719
```

Symmetry: P3m1 (156)
DOS(E_F), states/eV per cell: 1.9
E_form, eV/f.u.: -0.637

----------

Record 1
DFT (GGA-PBE) results for a geometry-optimized YSnSb2O structure.

Symmetry = No. 123
Mass density = 5.8 g/cm³
V = 133.65 Å³/f.u.
Formation energy without anion corrections = -323.8 meV per atom

Lattice parameters (Å, degrees): 5.8214 5.8214 3.9439 90.00 90.00 90.00
Fractional positions:
Sb  0.0000  0.5000  0.0000
Sb  0.5000  0.0000  0.0000
O  0.0000  0.0000  0.5000
Sn  0.0000  0.0000  0.0000
Y  0.5000  0.5000  0.5000



Record 2
DFT (GGA-PBE) results for a geometry-optimized Zn2SnSbO6 structure.

Symmetry = No. 11
Mass density = 6.5 g/cm³
V = 118.80 Å³/f.u.
Formation energy without anion corrections = -1346.4 meV per atom

Lattice parameters (Å, degrees): 8.0550 5.4303 5.4321 90.00 90.00 90.00
Fractional positions:
O  0.5714  0.8306  0.8318
O  0.2500  0.5931  0.8802
O  0.2500  0.0981  0.6272
O  0.9286  0.8306  0.8318
O  0.0714  0.1694  0.1682
O  0.0719  0.6713  0.3358